
  • Canard The Rescuer 750ML

    Canard not your typical Merlot blend form the Napa Valley. Styled after the incredible wines from the "Right Bank" in Bordeaux, this soft yet dense expression of a very elegant varietal shows star anise, crushed clove, dried sage and black cherry on the nose. Ultra fat mid palate yields to a silky smooth finish of cinnamon toast, dark chocolate, fresh black berries and cherries that will stay with you for a long time. Aged in French oak to create a long-term, age-worthy blend, this wine will cellar very well for 10+ years.

  • Canard Zinfandel 750ML

    Canard on the nose, rich ripe red fruits with rose petals and exotic spices. Full bodied in style, this wine has beautifully balanced acidity that makes it extremely food friendly. The mid-palate leads into a dry mouth full of ripe red cherries, blackberries and red currants, ending with a soft and very long finish of white pepper and vanilla beans.

  • Candoni Chianti 750ML

    Candoni our Chianti comes from a careful selection of Sangiovese and Canaiolo grapes grown in Tuscany. It has an intense ruby-purple red color with a nose of fresh almond and mature blackberry. Its soft, warm taste is dry on the palate. Food pairings: Excellent with red meats and hearty soups. Also pairs well with cheeses.

  • Candoni Moscato d'Italia 750ML

    Candoni low in alcohol, semi-sparkling, but remarkably fruity and fragrant, it has an excellent balance of sweetness and acidity. Made from 100% Moscato Bianco grapes from the central Italy. It makes an exceptional dessert wine but is also versatile enough to enjoy as an aperitif or during summer picnics or patio meals.

  • Candoni Pinot Grigio 750ML

    Candoni Pinot Grigio is medium-bodied, well-structured and sophisticated. It has a rich, pear-like nose, followed by a crisp acidity and a delicious mouth feel. Food Pairings: A delicious accompaniment to fish, seasonal pasta dishes or chicken. It can also stand alone as an aperitif on a hot summer day.

  • Candor Zinfandel 750ML

    Great Zinfandel grapes grow in pockets all over the state, and the Hope family have done their homework. This wine benefits from a combination of hardy, gnarly old vines, some of them over 50 years old, and exuberant new ones, all meticulously farmed. Blended together across vineyards and vintages, Candor Zinfandel has real panache—bright berry fruit, spice, and that undefinable zing that says it’s really Zinfandel.

  • Canoe Ridge Reserve Cabernet Sauvignon 750ML

    Deep ruby red color shows pure cherry, currant and star anise aromas. Deep and voluptuous texture is complemented with rich currant, and raspberry, anise and cedar. Full bodied, this wine finishes with well-balanced tannins.

  • Cantina Zaccagnini - montepulciano d’Abruzzo 750ML

    Intense violet robe. Aromas of plum and ripe blackberry. Each sip delivers a mouthful of ripe berries, leather and black pepper with subtle hints of oregano, dried herbs and a touch of vanilla; all leading to a dry and supple finish. Assertive, full-flavored "country style" cooking such as: Venison or rabbit stew; Ossobuco; Roast leg of lamb; Spaghetti puttanesca; Pasta with sausage, pepper and onions; Roast duck with green peppercorn sauce.

  • Cantina Zaccagnini Pinot Grigio 750ML

    Pale yellow with green nuances; very delicate bouquet, fragrant with extremely pleasant aromas. Very fresh and well-balanced flavors. With a crisp and elegant finish.

  • Captain Morgan 100 Proof Rum

    "This blend of Caribbean rums and select spices brings out the intensity of rum in full flavor. A firm favorite, it’s specially crafted to taste great with Cola or as a shot."

  • Captain Morgan Black Spiced Rum 750ML

# Inserted here: crystal structures
- - -
# 1
Simulated XRD peak list
Compound: FeHO2
Radiation: Cu Kα (weighted mean of Kα1 and Kα2)
Structure: a crystal structure in the Materials Project, relaxed with GGA+U
Peak positions follow from Bragg's law for the DFT cell and can differ from measured ones.

Cell and atoms:
```
FeHO2
1.0
-5.017 5.017 1.502
5.017 -5.017 1.502
5.017 5.017 -1.502
Fe H O
4 4 8
direct
0.079 0.095 0.699
0.395 0.380 0.301
0.620 0.921 0.015
0.905 0.605 0.985
0.249 0.516 0.520
0.272 0.751 0.267
0.484 0.005 0.733
0.995 0.728 0.480
0.015 0.876 0.455
0.090 0.298 0.876
0.124 0.579 0.139
0.421 0.560 0.545
0.423 0.214 0.124
0.440 0.985 0.861
0.702 0.577 0.792
0.786 0.910 0.208
```

Main lines, by intensity (5° ≤ 2θ ≤ 70°):
| two_theta | I/Imax |
| --- | --- |
| 12.47 | 1000 |
| 35.98 | 637 |
| 17.68 | 494 |
| 28.12 | 473 |
| 58.27 | 387 |
| 35.79 | 301 |
| 48.12 | 204 |
| 67.40 | 171 |
| 40.36 | 158 |
| 54.90 | 118 |


# 2
Simulated XRD peak list
Compound: FeP2HO7
Radiation: Cu Kα (weighted mean of Kα1 and Kα2)
Structure: a crystal structure in the Materials Project, relaxed with GGA+U
Peak positions follow from Bragg's law for the DFT cell and can differ from measured ones.

Cell and atoms:
```
FeP2HO7
1.0
7.447 0.000 0.000
0.000 8.424 0.000
-5.636 0.000 8.221
Fe P H O
4 8 4 28
direct
0.042 0.198 0.021
0.042 0.302 0.521
0.958 0.698 0.479
0.958 0.802 0.979
0.059 0.510 0.236
0.059 0.990 0.736
0.427 0.716 0.304
0.427 0.784 0.804
0.573 0.216 0.196
0.573 0.284 0.696
0.941 0.010 0.264
0.941 0.490 0.764
0.384 0.128 0.488
0.384 0.372 0.988
0.616 0.628 0.012
0.616 0.872 0.512
0.008 0.504 0.367
0.008 0.996 0.867
0.062 0.158 0.682
0.062 0.342 0.182
0.090 0.123 0.404
0.090 0.377 0.904
0.273 0.725 0.631
0.273 0.775 0.131
0.306 0.573 0.330
0.306 0.927 0.830
0.357 0.152 0.154
0.357 0.348 0.654
0.461 0.653 0.929
0.461 0.847 0.429
0.539 0.153 0.571
0.539 0.347 0.071
0.643 0.652 0.346
0.643 0.848 0.846
0.694 0.073 0.170
0.694 0.427 0.670
0.727 0.225 0.869
0.727 0.275 0.369
0.910 0.623 0.096
0.910 0.877 0.596
0.938 0.658 0.818
0.938 0.842 0.318
0.992 0.004 0.133
0.992 0.496 0.633
```

Main lines, by intensity (5° ≤ 2θ ≤ 70°):
| two_theta | I/Imax |
| --- | --- |
| 27.83 | 1000 |
| 14.42 | 987 |
| 29.11 | 814 |
| 42.34 | 380 |
| 20.83 | 378 |
| 30.99 | 353 |
| 24.09 | 280 |
| 21.09 | 226 |
| 17.94 | 214 |
| 30.38 | 212 |


# 3
Simulated XRD peak list
Compound: Fe4P3H3O15
Radiation: Cu Kα (weighted mean of Kα1 and Kα2)
Structure: a crystal structure in the Materials Project, relaxed with GGA+U
Peak positions follow from Bragg's law for the DFT cell and can differ from measured ones.

Cell and atoms:
```
Fe4P3H3O15
1.0
9.939 -3.752 0.000
9.939 3.752 0.000
-1.633 0.000 7.386
Fe P H O
8 6 6 30
direct
0.148 0.700 0.844
0.300 0.852 0.656
0.320 0.342 0.148
0.342 0.320 0.648
0.658 0.680 0.352
0.680 0.658 0.852
0.700 0.148 0.344
0.852 0.300 0.156
0.033 0.305 0.587
0.305 0.033 0.087
0.387 0.613 0.250
0.613 0.387 0.750
0.695 0.967 0.913
0.967 0.695 0.413
0.008 0.992 0.250
0.088 0.505 0.876
- - -
# The text goes on

    Crafted using only the finest Caribbean rum & select spices, Captain Morgan Black Spiced Rum is finished with double charred blackened oak for a taste as bold as the legendary buccaneer. Blackstrap Rum, Rich Clove Spice and Premium Cassia Bark. Legend has it, the pirates of old stored their high proof rum in charred oak casks in order to give it a smooth mellow taste.

  • Captain Morgan Caribbean White Rum

    The pristine waters of the Caribbean inspired the creation of Captain Morgan White Rum. A white rum that is five times distilled and made with fine cane molasses, Captain Morgan White Rum is as smooth as the Captain himself. “On the nose, it’s hugely aromatic, with sweet notes of coconut, cane sugar and even toffee. On the mouth, it also runs “sweet” in the open, with a mild, round and viscous mid-weight mouthfeel. On the finish: Coconut, menthol and papaya.

  • Captain Morgan Long Island Iced Tea 1.75L

    A legendary mix of rum, vodka, whiskey, gin and triple sec liqueur with a refreshing taste only the Captain could deliver—simply pour over ice.

  • Captain Morgan Original Spiced Rum

    Smooth and medium bodied, Captain Morgan ® Original Spiced is a spirit drink based on a secret blend of Caribbean rums, mellow spice and other natural flavours. It gets its distinct richness and amber colour from aging the rum in charred white oak barrels. Captain Morgan ® Original Spiced is the perfect mix with Cola – the secret recipe of spices blend with the Cola to make a legendary mix!

  • Captain Morgan Private Stock Rum 750ML

    Rich, dark and full-bodied, Captain Morgan Private Stock blends hints of secret island spices with a smooth velvet texture. The craft of Caribbean rum-making is over 300 years old. Captain Morgan Private Stock is one the most sophisticated rums to come from this long-standing tradition. Captain Morgan Private Stock takes the spirit of The Captain to the highest levels of taste and style - enjoy it straight, on the rocks, or with a favorite mixer.

  • Captain Morgan Silver Spiced Rum

    A distinctive blend of rich white rum and tropical spice. It has a smooth, well-rounded taste with sweet vanilla character that is lighter and dryer than our original blend.

  • Caravella Limoncello Lemon Liqueur 750ML

    Caravella Limoncello is made in Italy with lemons grown on the Italian Amalfi coast. The distinctive taste is said to come from a combination of ripe and un-ripe lemons. Fresh citrus zest aromas have a distinctly lemony quality.

Data records, as found in the file:
Entry 1:
Simulated X-ray powder pattern
Compound: NaTl7In4
Radiation: Cu Ka
Structure: a structure optimized by DFT (PBE)

Structural model:
Cell lengths 14.0043, 5.7872, 11.2410 Å; angles 90.00, 123.44, 90.00 degrees
Space group C2/m (No. 12)
Asymmetric unit:
Na1 0.0000 0.0000 0.0000 (multiplicity 2)
Tl1 0.0000 0.5000 0.0000 (multiplicity 2)
Tl2 0.0561 0.0000 0.3921 (multiplicity 4)
Tl3 0.1934 0.5000 0.6207 (multiplicity 4)
Tl4 0.2198 0.0000 0.8862 (multiplicity 4)
In1 0.0680 0.5000 0.7730 (multiplicity 4)
In2 0.1862 0.5000 0.3255 (multiplicity 4)

Main lines, low angle first (10° ≤ 2θ ≤ 90°):
- hkl 1 1 -2, 3.999 Å, I 34
- hkl 4 0 -3, 3.182 Å, I 58
- hkl 1 1 2, 3.121 Å, I 62
- hkl 3 1 -3, 3.049 Å, I 34
- hkl 0 2 0, 2.894 Å, I 100
- hkl 3 1 1, 2.699 Å, I 99
- hkl 5 1 -3, 2.466 Å, I 36
- hkl 1 1 -4, 2.365 Å, I 36
- hkl 4 2 -3, 2.141 Å, I 39
- hkl 3 3 1, 1.631 Å, I 25

---

Entry 2:
Simulated X-ray powder pattern
Compound: Na2TlIn3
Radiation: Cu Ka
Structure: a structure optimized by DFT (PBE)

Structural model:
Cell lengths 3.4882, 5.2499, 8.9543 Å; angles 90.00, 90.00, 90.00 degrees
Space group Pmm2 (No. 25)
Asymmetric unit:
Na1 0.0000 0.0000 0.0000 (multiplicity 1)
Na2 0.0000 0.5000 0.4989 (multiplicity 1)
Tl1 0.5000 0.0000 0.3327 (multiplicity 1)
In1 0.5000 0.0000 0.6721 (multiplicity 1)
In2 0.5000 0.5000 0.1623 (multiplicity 1)
In3 0.5000 0.5000 0.8306 (multiplicity 1)

Main lines, low angle first (10° ≤ 2θ ≤ 90°):
- hkl 0 1 1, 4.529 Å, I 62
- hkl 0 0 2, 4.477 Å, I 32
- hkl 1 0 0, 3.488 Å, I 77
- hkl 1 1 1, 2.764 Å, I 72
- hkl 1 0 2, 2.752 Å, I 37
- hkl 0 2 0, 2.625 Å, I 52
- hkl 0 1 3, 2.595 Å, I 100
- hkl 1 2 0, 2.097 Å, I 38
- hkl 1 1 3, 2.082 Å, I 74
- hkl 2 1 3, 1.447 Å, I 32

---

Entry 3:
Simulated X-ray powder pattern
Compound: NaTlIn
Radiation: Cu Ka
Structure: a structure optimized by DFT (PBE)

Structural model:
Cell lengths 4.2516, 4.9911, 8.1377 Å; angles 90.00, 104.57, 90.00 degrees
Space group P2_1 (No. 4)
Asymmetric unit:
Na1 0.0856 0.0000 0.1639 (multiplicity 2)
Tl1 0.3998 0.9998 0.8045 (multiplicity 2)
In1 0.2536 0.4982 0.5072 (multiplicity 2)

Main lines, low angle first (10° ≤ 2θ ≤ 90°):
- hkl 0 1 1, 4.216 Å, I 67
- hkl 1 0 0, 4.115 Å, I 25
- hkl 1 0 -1, 4.094 Å, I 26
- hkl 1 1 1, 2.765 Å, I 100
- hkl 1 1 -2, 2.746 Å, I 99
- hkl 0 0 3, 2.625 Å, I 38
- hkl 0 2 0, 2.496 Å, I 40
- hkl 2 0 -1, 2.126 Å, I 25
- hkl 0 2 3, 1.809 Å, I 25
- hkl 2 2 -1, 1.618 Å, I 21

---

Entry 4:
Simulated X-ray powder pattern
Compound: NaTl12In6
Radiation: Cu Ka
Structure: a structure optimized by DFT (PBE)

Structural model:
Cell lengths 14.4675, 14.4675, 10.0124 Å; angles 90.00, 90.00, 120.00 degrees
Space group R-3m (No. 166, hexagonal axes)
Asymmetric unit:
Na1 0.0000 0.0000 0.0000 (multiplicity 3)
Tl1 0.0000 0.3853 0.5000 (multiplicity 18)
Tl2 0.0808 0.1616 0.2590 (multiplicity 18)
In1 0.0801 0.5401 0.2228 (multiplicity 18)

Main lines, low angle first (10° ≤ 2θ ≤ 90°):
- hkl 0 1 2, 4.649 Å, I 48
- hkl 1 3 1, 3.283 Å, I 94

  • Cardinale Red Wine 750ML

    Cardinale as you would enjoy the varied nuances and subtle layers of a Fellini film, so you should enjoy Cardinale. The 2008 has an aromatic element that evokes violets and orange blossoms with a fruit component of dark cherry combined with a palate that offers currant, ripe blackberry, and toast with a velvety texture on a long, drawn finish.

  • Carlo Rossi Burgundy 4L

    This rich, full-bodied wine is filled with flavors of red berries with hints of spice and dark chocolate. It is perfect with traditional Italian sauces and spicy Mexican dishes.

  • Carlo Rossi Chianti 4L

    A medium body with a balanced, smooth finish. Satisfying flavors of rich, red fruit make this wine easy to enjoy. This classic Italian table wine is rich in flavor and goes well with pizza, spaghetti and various chicken dishes.

  • Carlo Rossi Reserve Chardonnay 4L

    From the Carlo Rossi Reserve Collection, this Chardonnay has subtle hints of apple, pear and oak. It goes well with cheese and fruit platters.

  • Carlo Rossi Reserve White Zinfandel 4L

    Made from red Zinfandel grapes, White Zinfandel turns a pale shade of pink by keeping the clear juice on the red skins for just a short while. Our White Zinfandel is a light-bodied wine that weaves flavors of fresh strawberry and watermelon together with a crisp, clean finish." Zinfandel has been called the 'workhorse of grapes' and produces everything from light blush to dark spicy reds.

  • Carmel Road Chardonnay Monterey 750ML

    The Liberated Chardonnay has flavors of apple blossom, citrus and perennial flowers, underlined with minerality. It has firm acidity and a clean, fruity finish. Fermented in stainless steel tanks, with no oak intoduced, to offers the true characteristics of Chardonnay.